543. Memorandum for the Files by the Assistant Secretary of State for Inter-American Affairs (Rubottom)1


  • Cuba

I told the ARA staff the following at our meeting this morning:

I wanted them to know something of my thoughts behind the various recommendations being made and actions being taken with respect to our presently extremely complex relations with Cuba and, for that matter, the rest of the Hemisphere. For all practical purposes, we are now in virtual open conflict with the Castro government. We have gone as far as we can in trying to distinguish between the Cuban people and their present government, much as we sympathize with the plight of what we believe to be the great majority of Cubans. The recent series of articles by Thomas Wolf in the Washington Post clearly shows the extent to which the Cuban “people” have allowed themselves to be hoodwinked and out-maneuvered, assuming that some of them have been alert, by the communists.

We want to go as far as we can through juridical procedures in the OAS. We have built up the image of the OAS in our public statements, as well as in our private advice to the President and others in the government, to a stronger position perhaps than is really justified. We must defend the U.S. interest which is now seriously menaced by Cuban developments. In all honesty, I believe that we will also be defending the Hemisphere’s interest.

There are very few really courageous leaders in Latin America who are willing to get behind us and publicly acknowledge the extent of the communist menace in Cuba. Ydigoras is one. The Frondizi statement in yesterday’s newspaper2 was encouraging, as have been the reports from their Foreign Office in the last few days. The Betancourt approach, while understandable, is responsive to one man’s obsession and his hatred of another, Trujillo. The Lleras Camargo approach is super-juridical and tied too closely to Betancourt, to be useful to us at this time. The Pedro Beltran approach, unless he is willing courageously to say to his own government and to his people [Page 978] what he said to us, will do us little good. This does not attempt to analyze each government leader nor each government’s position in the Americas, although I should cite the encouraging responses we have had from Uruguay in the past few months. I trust that we can count on El Salvador, Honduras, and Costa Rica, although there are cracks in some of this armor.

What we must do in defense of our interest and the Hemisphere’s interest is to keep moving in the face of the Cuban menace. This is extremely difficult when we get telegrams from the field such as that from Habana today.3 Other advisers whom we respect would push us in different directions.

I believe that most of the Latin American leaders in their heart of hearts want and expect the United States to move effectively against Cuba now. Their positions are such that many of them cannot give us the support they would like to give us. (I am afraid that some of them would not hesitate to criticize us later if we don’t move.)

We have every right to expect that they will defend their home fronts, however. We shouldn’t hesitate to tell them this when the crucial moment comes. This will mean considerable courage in itself to stand up in the face of the deliberately fomented pro-Castro demonstrations which, these other government leaders must realize, are being directed at their overthrow. It doesn’t necessarily mean that they publicly defend everything that the United States does. It certainly does mean that they stand firm in defense of the principles which they and we hold dear or the consequences inexorably will be: 1. The destruction of the whole inter-American system which we have come to respect so much in the last half century, and 2. The possible thrust of the communist apparatus much more openly than it now is in their own countries.

**Between two parts of the entry: calculated molecules:**
/*
(1)
Density functional theory data (wB97M-V/def2-TZVPD) for 2 unconnected molecules or ions with the total composition C2H3Br2FSi at a distorted geometry.

Geometry (Å):
Br 1.902 1.218 -2.488
Br 3.594 1.454 0.665
Si 1.828 0.682 -0.413
F 1.935 -0.886 -0.227
C -2.079 -1.207 0.899
C -2.832 -0.648 0.118
H 0.589 1.213 0.398
H -1.540 -1.577 1.742
H -3.397 -0.249 -0.693

Atomic forces in eV per Å
-0.11 0.11 -0.60
-0.01 0.09 -0.14
-0.88 0.66 2.16
-0.22 -0.26 -0.23
-1.69 1.36 -1.01
1.68 -1.28 1.08
1.19 -0.62 -1.18
0.10 -0.12 -0.22
-0.07 0.05 0.14

Output
E: -5615.45931 Eh
SMILES: F[SiH](Br)Br.C#C
Relative energy (zero: lowest compared OMol25 entry of this formula, charge and spin): 44.61 kcal/mol
HOMO energy: -10.78 eV

These are the natural (NBO) partial charges, in e, on atoms 1 to 2: number 1, Br, carries -0.2598; number 2, Br, carries -0.3135

---

(2)
Density functional theory data (wB97M-V/def2-TZVPD) for C2H3Br2NO3 in the gas phase at a distorted geometry.

Geometry (Å):
Br -0.463 -1.866 -0.971
Br -0.259 -1.165 2.467
O 1.479 -0.028 0.578
O -0.908 1.604 2.495
O 0.751 2.288 1.333
N 0.005 1.450 1.711
C 0.218 0.029 1.016
C -0.770 -0.101 -0.098
H -1.847 0.031 0.287
H 1.523 -0.579 -0.113
H -0.569 0.560 -0.843

Atomic forces in eV per Å
-0.46 0.70 0.32
0.32 -0.71 0.15
0.27 3.43 4.64
0.22 -0.38 -0.42
1.06 1.12 -0.46
-0.82 -0.46 -0.15
-0.70 0.28 1.02
-2.60 -2.07 1.97
1.72 -0.57 -0.74
0.42 -3.42 -4.26
0.57 2.08 -2.06

Output
E: -5506.39077 Eh
SMILES: O=[N+]([O-])[C@@](O)(Br)CBr
Relative energy (zero: lowest compared OMol25 entry of this formula, charge and spin): 16.92 kcal/mol
HOMO energy: -10.52 eV

These are the natural (NBO) partial charges, in e, on atoms 1 to 2: number 1, Br, carries 0.0069; number 2, Br, carries 0.0429

---

| no. | LUMO (eV) |
| --- | --- |
| 1 | 0.55 |
| 2 | -0.33 |

----------

# 1
{"formula": "C6H15NS", "method": "wB97M-V/def2-TZVPD", "energy_ev": -18788.3976, "charge": 0, "homo_ha": -0.319, "relative_energy_ev": 2.192, "homo_lumo_gap_ev": 8.404, "species": ["C", "H", "H", "H", "H", "N", "H", "H", "H", "C", "H", "C", "H", "C", "H", "S", "C", "H", "C", "H", "H", "H", "H"], "positions_angstrom": [[-2.3994, 1.1027, 0.2654], [2.8470, 1.1022, -0.5754], [-0.2526, -1.7127, -0.4498], [-0.3625, -1.1976, 1.8964], [3.0574, -1.6615, -1.4917], [0.0024, -0.7892, -0.1561], [1.5347, -2.5044, -1.1337], [1.2127, 1.1044, -1.3093], [-2.4832, 0.9029, -0.8002], [1.9951, -1.5261, -1.3103], [-0.1009, 0.4878, 1.4513], [1.4977, -0.6219, -0.1997], [1.8530, -0.9673, 0.7821], [1.8023, 0.8414, -0.4150], [-2.6956, -0.9744, 0.7554], [-1.4059, 2.5456, 0.5865], [-0.6106, -0.4234, 1.1572], [1.3706, 1.4578, 0.3765], [-2.0952, -0.1506, 1.1427], [-2.4024, 0.1252, 2.1568], [1.5478, -1.1529, -2.2395], [-3.4182, 1.3604, 0.5810], [-0.4944, 2.6518, -1.0704]]}



# 2
*/

  1. Source: Department of State, Rubottom–Mann Files: Lot 62 D 418, Cuba (July–Sept.) 1960. Secret. Drafted by Rubottom. Attached to a July 6 memorandum from Rubottom to all Office Directors in the Bureau of Inter-American Affairs, in which he noted that he had “embellished my remarks to some extent in the interest of achieving greater impact and in order to give credit where it is due to a few other helpful governments in the Hemisphere.”
  2. Not further identified.
  3. Not further identified.